VASP calculation (PBE with a Hubbard U) on crystalline La5Sm3Ni7AgO24 at its relaxed geometry.

Values from the calculation:
For the energy relative to the elements, the calculation gives -2.31 eV per atom. As for the total energy: -6.48 eV per atom. As for the magnetization: 7.8 μB/f.u. Its symmetry is Cm (8).

The structure in POSCAR format:
```
La5Sm3Ni7AgO24
1.0
5.470 5.468 0.000
-5.470 5.468 0.000
0.000 0.001 7.732
Ni La O Ag Sm
7 5 24 1 3
direct
0.501 0.501 0.999
0.500 0.500 0.501
0.501 0.000 0.999
0.000 0.000 0.502
0.501 0.000 0.502
0.000 0.501 0.502
0.000 0.501 0.999
0.253 0.747 0.254
0.747 0.253 0.254
0.254 0.254 0.254
0.253 0.253 0.747
0.747 0.747 0.254
0.251 0.997 0.503
0.502 0.251 0.997
0.750 0.500 0.506
0.503 0.503 0.750
0.997 0.258 0.996
0.500 0.749 0.994
0.258 0.997 0.996
0.000 0.500 0.251
0.250 0.503 0.504
0.749 0.500 0.994
0.000 0.742 0.993
0.997 0.502 0.750
0.749 0.000 0.505
0.742 0.000 0.993
0.997 0.251 0.503
0.000 0.749 0.505
0.997 0.997 0.743
0.503 0.250 0.504
0.000 0.000 0.258
0.500 0.500 0.250
0.502 0.997 0.750
0.500 0.750 0.506
0.251 0.502 0.997
0.500 0.000 0.251
0.000 0.000 0.000
0.255 0.745 0.745
0.745 0.255 0.745
0.745 0.745 0.746
```

=====

VASP calculation (PBE with a Hubbard U) on crystalline LiZn2AgWO6 at its relaxed geometry.

Values from the calculation:
As for the energy above the most stable polymorph in this dataset: 21.2 meV per atom. For the energy relative to the elements, the calculation gives -1.74 eV per atom. As for the total energy: -5.50 eV per atom. As for the magnetization: 0.0 μB/f.u. Its symmetry is P1 (1).

The structure in POSCAR format:
```
LiZn2AgWO6
1.0
-1.210 5.172 2.044
1.662 -1.539 -6.363
-4.170 -5.863 0.333
O Ag Li Zn W
6 1 1 2 1
direct
0.309 0.166 0.387
0.547 0.240 0.132
0.684 0.795 0.612
0.444 0.722 0.865
0.035 0.292 0.983
0.956 0.669 0.015
0.997 0.977 0.499
0.489 0.476 0.993
0.076 0.473 0.238
0.917 0.491 0.761
0.996 0.981 0.000
```

=====

VASP calculation (PBE with a Hubbard U) on crystalline LiZn2AgWO6 at its relaxed geometry.

Values from the calculation:
As for the energy above the most stable polymorph in this dataset: 0.0 meV per atom. For the energy relative to the elements, the calculation gives -1.76 eV per atom. As for the total energy: -5.52 eV per atom. As for the magnetization: 0.0 μB/f.u. Its symmetry is P1 (1).

The structure in POSCAR format:
```
LiZn2AgWO6
1.0
-1.491 0.974 -5.475
3.380 -5.104 2.426
-4.017 -0.384 6.327
O W Li Zn Ag
6 1 1 2 1
direct
0.260 0.055 0.378
0.394 0.749 0.810
0.867 0.601 0.949
0.710 0.849 0.633
0.636 0.238 0.210
0.219 0.367 0.093
0.997 0.960 0.005
0.960 0.677 0.412
0.940 0.439 0.777
0.074 0.462 0.221
0.002 0.119 0.507
```

* * * * *

# Pr5Tl3 r2SCAN relaxed
data_Pr5Tl3
_chemical_formula_sum 'Pr20 Tl12'
_symmetry_space_group_name_H-M 'I 4/m c m'
_symmetry_Int_Tables_number 140
_symmetry_space_group_name_Hall '-I 4 2c'
_cell_length_a 12.682
_cell_length_b 12.682
_cell_length_c 6.362
_cell_angle_alpha 90.00
_cell_angle_beta 90.00
_cell_angle_gamma 90.00
loop_
_atom_site_label
_atom_site_fract_x
_atom_site_fract_y
_atom_site_fract_z
Pr1 0.000 0.500 0.250
Pr2 0.086 0.217 0.000
Tl1 0.000 0.000 0.250
Tl2 0.160 0.340 0.500
# Spin magnetization ... 1.1 μB/f.u.
# Energy relative to the elements ... -443 meV per atom
# Density ... 8.6 Mg/m³

# Pr3Tl5 r2SCAN relaxed
data_Pr3Tl5
_chemical_formula_sum 'Pr12 Tl20'
_symmetry_space_group_name_H-M 'C m c m'
_symmetry_Int_Tables_number 63
_symmetry_space_group_name_Hall '-C 2c 2'
_cell_length_a 10.361
_cell_length_b 8.414
_cell_length_c 10.657
_cell_angle_alpha 90.00
_cell_angle_beta 90.00
_cell_angle_gamma 90.00
loop_
_atom_site_label
_atom_site_fract_x
_atom_site_fract_y
_atom_site_fract_z
Pr1 0.000 0.129 0.250
Pr2 0.203 0.500 0.000
Tl1 0.000 0.193 0.545
Tl2 0.000 0.490 0.750
Tl3 0.216 0.209 0.750
# Spin magnetization ... 0.0 μB/f.u.
# Energy relative to the elements ... -499 meV per atom
# Density ... 10.3 Mg/m³

Work out how many lines further above have the word "The" in them; a number is enough.

3